[Entries]
<<<
First-principles (PBE with a Hubbard U) data for a relaxed structure of FeP2O7, as listed in the Materials Project.

Summary:
Total energy (eV per cell): -277.97
E above lowest polymorph (meV/atom): 0
Energy relative to the elements (meV per atom): -2262.5

abc: 8.3449 5.2432 13.6806
angles: 90.00 109.55 90.00
Last column: nearest neighbours and their distance in Å.
Space group P2_1/c (No. 14)
Symmetry-distinct sites (fractional):
Fe 0.2325 0.2486 0.1432  6 O 1.99-2.03
P 0.1975 0.7381 0.9800  4 O 1.51-1.61
P 0.3293 0.7297 0.8027  4 O 1.52-1.61
O 0.0201 0.7124 0.4031  1 P 1.52
O 0.2158 0.0378 0.5188  1 P 1.53
O 0.2314 0.5508 0.2357  1 P 1.53
O 0.2415 0.0281 0.2670  1 P 1.54
O 0.2522 0.5700 0.5677  1 P 1.51
O 0.3316 0.7268 0.4194  2 P 1.61
O 0.4852 0.2234 0.6898  1 P 1.52

* * * * *

[1]
Si2Ni3H4O9: relaxed, PBE with a Hubbard U.

Structure (CIF):
```
data_Si2Ni3H4O9
_chemical_formula_sum 'Si2 Ni3 H4 O9'
_cell_length_a 5.3471
_cell_length_b 5.3471
_cell_length_c 7.4710
_cell_angle_alpha 90.00
_cell_angle_beta 90.00
_cell_angle_gamma 120.00
_space_group_name_H-M_alt 'P 1'
_space_group_IT_number 1
loop_
_space_group_symop_operation_xyz
'x,y,z'
loop_
_atom_site_label
_atom_site_type_symbol
_atom_site_fract_x
_atom_site_fract_y
_atom_site_fract_z
Si1 Si 0.3333 0.6667 0.1035
Si2 Si 0.6667 0.3333 0.1035
Ni1 Ni 0.3323 0.0000 0.7297
Ni2 Ni 0.0000 0.3323 0.7297
Ni3 Ni 0.6677 0.6677 0.7297
H1 H 0.6497 0.0000 0.4683
H2 H 0.0000 0.6497 0.4683
H3 H 0.3503 0.3503 0.4683
H4 H 0.0000 0.0000 0.0000
O1 O 0.3333 0.6667 0.8876
O2 O 0.6667 0.3333 0.8876
O3 O 0.6631 0.0000 0.5983
O4 O 0.0000 0.6631 0.5983
O5 O 0.3369 0.3369 0.5983
O6 O 0.4864 0.4864 0.1855
O7 O 0.5136 0.0000 0.1855
O8 O 0.0000 0.5136 0.1855
O9 O 0.0000 0.0000 0.8700
```

***

[2]
# KNaV6Pb8O24, relaxed, DFT PBE with a Hubbard U
# total magnetic moment: 0.0 μB per cell
data_KNaV6Pb8O24
_chemical_formula_sum 'K1 Na1 V6 Pb8 O24'
_cell_length_a 10.2915
_cell_length_b 10.2915
_cell_length_c 7.4906
_cell_angle_alpha 90.00
_cell_angle_beta 90.00
_cell_angle_gamma 120.00
_space_group_name_H-M_alt 'P 1'
_space_group_IT_number 1
loop_
_space_group_symop_operation_xyz
'x,y,z'
loop_
_atom_site_label
_atom_site_type_symbol
_atom_site_fract_x
_atom_site_fract_y
_atom_site_fract_z
K1 K 0.3333 0.6667 0.4875
Na1 Na 0.0000 0.0000 0.0116
V1 V 0.2746 0.3157 0.7539
V2 V 0.0411 0.7254 0.7539
V3 V 0.6843 0.9589 0.7539
V4 V 0.0572 0.3474 0.2499
V5 V 0.2901 0.9428 0.2499
V6 V 0.6526 0.7099 0.2499
Pb1 Pb 0.6654 0.0766 0.2486
Pb2 Pb 0.4112 0.3346 0.2486
Pb3 Pb 0.9234 0.5888 0.2486
Pb4 Pb 0.6700 0.5912 0.7509
Pb5 Pb 0.9213 0.3300 0.7509
Pb6 Pb 0.4088 0.0787 0.7509
Pb7 Pb 0.3333 0.6667 0.9751
Pb8 Pb 0.0000 0.0000 0.4752
O1 O 0.1739 0.7459 0.2463
O2 O 0.5719 0.8261 0.2463
O3 O 0.2541 0.4281 0.2463
O4 O 0.1578 0.9229 0.7515
O5 O 0.7651 0.8422 0.7515
O6 O 0.0771 0.2349 0.7515
O7 O 0.4100 0.9949 0.4314
O8 O 0.5849 0.5900 0.4314
O9 O 0.0051 0.4151 0.4314
O10 O 0.9191 0.6722 0.9337
O11 O 0.7531 0.0809 0.9337
O12 O 0.3278 0.2469 0.9337
O13 O 0.9256 0.6729 0.5677
O14 O 0.7473 0.0744 0.5677
O15 O 0.3271 0.2527 0.5677
O16 O 0.4093 0.9952 0.0667
O17 O 0.5860 0.5907 0.0667
O18 O 0.0048 0.4140 0.0667
O19 O 0.1427 0.6312 0.7632
O20 O 0.4885 0.8573 0.7632
O21 O 0.3688 0.5115 0.7632
O22 O 0.1868 0.0360 0.2530
O23 O 0.8492 0.8132 0.2530
O24 O 0.9640 0.1508 0.2530

***

[3]
# Li2VP3O10, relaxed, DFT PBE with a Hubbard U
# total magnetic moment: 8.0 μB per cell
# offset from the most stable computed form: 0.00 eV per formula unit
data_Li2VP3O10
_chemical_formula_sum 'Li8 V4 P12 O40'
_cell_length_a 7.9957
_cell_length_b 9.9596
_cell_length_c 12.1464
_cell_angle_alpha 83.47
_cell_angle_beta 90.00
_cell_angle_gamma 90.00
_space_group_name_H-M_alt 'P 1'
_space_group_IT_number 1
loop_
_space_group_symop_operation_xyz
'x,y,z'
loop_
_atom_site_label
_atom_site_type_symbol
_atom_site_fract_x
_atom_site_fract_y
_atom_site_fract_z
Li1 Li 0.5486 0.6217 0.1503
Li2 Li 0.9514 0.1217 0.1503
Li3 Li 0.8894 0.0884 0.4439
>>>

[Wanted]
What is needed: transcribe only the lines earlier on with the word "column" in them.

[Outcome]
Last column: nearest neighbours and their distance in Å.